Wanted =
The reader should reproduce the lines further below from the one with "```" to the one with "-2.243 0.000" unchanged.
Data =
'''
# C12H14FIMnN2

A molecular structure, C12H14FIMnN2 (ωB97M-V/def2-TZVPD, OMol25).

Geometry as XYZ:
```
31
Properties=species:S:1:pos:R:3:lowdin_spin:R:1
C 3.555 4.177 1.856 0.002
C 4.733 3.279 1.489 0.000
H 3.246 4.784 1.000 0.000
H 3.827 4.857 2.670 0.000
H 2.681 3.596 2.175 0.002
H 4.438 2.484 0.799 0.000
H 5.518 3.866 1.008 0.000
H 5.164 2.810 2.377 0.000
C -2.819 1.027 0.031 0.017
C -4.036 0.965 -0.653 0.000
C -4.298 -0.145 -1.476 0.008
C -3.330 -1.138 -1.614 0.001
H -2.549 1.860 0.689 0.003
H -4.775 1.749 -0.518 0.000
H -5.242 -0.240 -2.006 0.000
H -3.499 -2.033 -2.202 0.000
N -1.902 0.050 -0.090 0.045
C -2.110 -0.998 -0.934 0.012
C -1.016 -1.958 -0.979 0.008
N 0.058 -1.649 -0.195 0.036
C 1.092 -2.523 -0.154 0.013
C -0.012 -4.057 -1.665 0.005
C 1.104 -3.719 -0.881 0.001
H 1.940 -2.275 0.484 0.002
H 1.954 -4.396 -0.808 0.000
C -1.082 -3.163 -1.698 0.001
H -1.992 -3.387 -2.243 0.000
'''
Outcome =
```
31
Properties=species:S:1:pos:R:3:lowdin_spin:R:1
C 3.555 4.177 1.856 0.002
C 4.733 3.279 1.489 0.000
H 3.246 4.784 1.000 0.000
H 3.827 4.857 2.670 0.000
H 2.681 3.596 2.175 0.002
H 4.438 2.484 0.799 0.000
H 5.518 3.866 1.008 0.000
H 5.164 2.810 2.377 0.000
C -2.819 1.027 0.031 0.017
C -4.036 0.965 -0.653 0.000
C -4.298 -0.145 -1.476 0.008
C -3.330 -1.138 -1.614 0.001
H -2.549 1.860 0.689 0.003
H -4.775 1.749 -0.518 0.000
H -5.242 -0.240 -2.006 0.000
H -3.499 -2.033 -2.202 0.000
N -1.902 0.050 -0.090 0.045
C -2.110 -0.998 -0.934 0.012
C -1.016 -1.958 -0.979 0.008
N 0.058 -1.649 -0.195 0.036
C 1.092 -2.523 -0.154 0.013
C -0.012 -4.057 -1.665 0.005
C 1.104 -3.719 -0.881 0.001
H 1.940 -2.275 0.484 0.002
H 1.954 -4.396 -0.808 0.000
C -1.082 -3.163 -1.698 0.001
H -1.992 -3.387 -2.243 0.000